[Listing]
BaZn2Cu2As3 | PBE | optimized geometry

Computed properties:
magnetic moment	0.0	μB/cell
ρ	6.297	g/cm3
E	-3.73	eV per atom
E_form	-3.2	eV/f.u.

```
data_BaZn2Cu2As3
_cell_length_a 4.2100
_cell_length_b 12.7511
_cell_length_c 12.1831
_cell_angle_alpha 90.00
_cell_angle_beta 90.00
_cell_angle_gamma 90.00
_space_group_name_H-M_alt 'C m c m'
_space_group_IT_number 63
_space_group_name_Hall '-C 2c 2'
loop_
_atom_site_label
_atom_site_fract_x
_atom_site_fract_y
_atom_site_fract_z
Ba1 0.0000 0.1841 0.2500
Zn1 0.0000 0.1674 0.5584
Cu1 0.0000 0.4580 0.1439
As1 0.0000 0.0891 0.7500
As2 0.0000 0.3748 0.5456
```


LiEuH3 | PBE | optimized geometry

Computed properties:
total energy after the MP2020 corrections	-5.088	eV per atom
ρ	5.195	g/cm3
E	-4.98	eV per atom
E_form	-3.1	eV/f.u.

```
data_LiEuH3
_cell_length_a 3.7267
_cell_length_b 3.7267
_cell_length_c 3.7267
_cell_angle_alpha 90.00
_cell_angle_beta 90.00
_cell_angle_gamma 90.00
_space_group_name_H-M_alt 'P m -3 m'
_space_group_IT_number 221
_space_group_name_Hall '-P 4 2 3'
loop_
_atom_site_label
_atom_site_fract_x
_atom_site_fract_y
_atom_site_fract_z
Li1 0.0000 0.0000 0.0000
Eu1 0.5000 0.5000 0.5000
H1 0.0000 0.0000 0.5000
```


AgSO4 | PBE | optimized geometry

Computed properties:
total energy after the MP2020 corrections	-5.789	eV per atom
magnetic moment	1.6	μB/cell
ρ	4.262	g/cm3
E	-5.33	eV per atom
E_form	-8.0	eV/f.u.

```
data_AgSO4
_cell_length_a 14.9624
_cell_length_b 7.9502
_cell_length_c 10.6865
_cell_angle_alpha 90.00
_cell_angle_beta 90.29
_cell_angle_gamma 90.00
_space_group_name_H-M_alt 'P 1 21/c 1'
_space_group_IT_number 14
loop_
_space_group_symop_operation_xyz
'x,y,z'
'-x,-y,-z'
'-x,y+1/2,-z+1/2'
'x,-y+1/2,z+1/2'
loop_
_atom_site_label
_atom_site_fract_x
_atom_site_fract_y
_atom_site_fract_z
Ag1 0.1077 0.0067 0.3390
Ag2 0.1114 0.0224 0.8285
Ag3 0.3894 0.5103 0.0860
Ag4 0.3924 0.5143 0.5852
S1 0.0758 0.7457 0.0909
S2 0.2012 0.2427 0.0830
S3 0.2995 0.7466 0.8372
S4 0.4245 0.2504 0.3371
O1 0.0334 0.6032 0.6545
O2 0.0354 0.5866 0.1498
O3 0.0546 0.7488 0.9554
O4 0.1350 0.2362 0.1871
O5 0.1520 0.2470 0.9586
O6 0.1705 0.7445 0.1188
O7 0.2458 0.5903 0.8459
O8 0.2480 0.5951 0.3461
O9 0.2520 0.0985 0.5964
O10 0.2551 0.0868 0.0896
O11 0.3302 0.2500 0.3663
O12 0.3505 0.7459 0.7158
O13 0.3644 0.7441 0.9449
O14 0.4428 0.2471 0.7000
O15 0.4656 0.0930 0.8974
O16 0.4672 0.0961 0.3953
```
[Activity]
The reader should retype the listing further above verbatim.
[Worked solution]
BaZn2Cu2As3 | PBE | optimized geometry

Computed properties:
magnetic moment	0.0	μB/cell
ρ	6.297	g/cm3
E	-3.73	eV per atom
E_form	-3.2	eV/f.u.

```
data_BaZn2Cu2As3
_cell_length_a 4.2100
_cell_length_b 12.7511
_cell_length_c 12.1831
_cell_angle_alpha 90.00
_cell_angle_beta 90.00
_cell_angle_gamma 90.00
_space_group_name_H-M_alt 'C m c m'
_space_group_IT_number 63
_space_group_name_Hall '-C 2c 2'
loop_
_atom_site_label
_atom_site_fract_x
_atom_site_fract_y
_atom_site_fract_z
Ba1 0.0000 0.1841 0.2500
Zn1 0.0000 0.1674 0.5584
Cu1 0.0000 0.4580 0.1439
As1 0.0000 0.0891 0.7500
As2 0.0000 0.3748 0.5456
```


LiEuH3 | PBE | optimized geometry

Computed properties:
total energy after the MP2020 corrections	-5.088	eV per atom
ρ	5.195	g/cm3
E	-4.98	eV per atom
E_form	-3.1	eV/f.u.

```
data_LiEuH3
_cell_length_a 3.7267
_cell_length_b 3.7267
_cell_length_c 3.7267
_cell_angle_alpha 90.00
_cell_angle_beta 90.00
_cell_angle_gamma 90.00
_space_group_name_H-M_alt 'P m -3 m'
_space_group_IT_number 221
_space_group_name_Hall '-P 4 2 3'
loop_
_atom_site_label
_atom_site_fract_x
_atom_site_fract_y
_atom_site_fract_z
Li1 0.0000 0.0000 0.0000
Eu1 0.5000 0.5000 0.5000
H1 0.0000 0.0000 0.5000
```


AgSO4 | PBE | optimized geometry

Computed properties:
total energy after the MP2020 corrections	-5.789	eV per atom
magnetic moment	1.6	μB/cell
ρ	4.262	g/cm3
E	-5.33	eV per atom
E_form	-8.0	eV/f.u.

```
data_AgSO4
_cell_length_a 14.9624
_cell_length_b 7.9502
_cell_length_c 10.6865
_cell_angle_alpha 90.00
_cell_angle_beta 90.29
_cell_angle_gamma 90.00
_space_group_name_H-M_alt 'P 1 21/c 1'
_space_group_IT_number 14
loop_
_space_group_symop_operation_xyz
'x,y,z'
'-x,-y,-z'
'-x,y+1/2,-z+1/2'
'x,-y+1/2,z+1/2'
loop_
_atom_site_label
_atom_site_fract_x
_atom_site_fract_y
_atom_site_fract_z
Ag1 0.1077 0.0067 0.3390
Ag2 0.1114 0.0224 0.8285
Ag3 0.3894 0.5103 0.0860
Ag4 0.3924 0.5143 0.5852
S1 0.0758 0.7457 0.0909
S2 0.2012 0.2427 0.0830
S3 0.2995 0.7466 0.8372
S4 0.4245 0.2504 0.3371
O1 0.0334 0.6032 0.6545
O2 0.0354 0.5866 0.1498
O3 0.0546 0.7488 0.9554
O4 0.1350 0.2362 0.1871
O5 0.1520 0.2470 0.9586
O6 0.1705 0.7445 0.1188
O7 0.2458 0.5903 0.8459
O8 0.2480 0.5951 0.3461
O9 0.2520 0.0985 0.5964
O10 0.2551 0.0868 0.0896
O11 0.3302 0.2500 0.3663
O12 0.3505 0.7459 0.7158
O13 0.3644 0.7441 0.9449
O14 0.4428 0.2471 0.7000
O15 0.4656 0.0930 0.8974
O16 0.4672 0.0961 0.3953
```